• Job:
Write out everything underneath with every line break kept.

• Data:
-- begin --
Compound: CdGa2Hg
Source: Alexandria via LeMat-Bulk
Functional: PBE
Structure: relaxed

Cell and atoms, written as CIF:
```
data_CdGa2Hg
_chemical_formula_sum 'Cd3 Ga6 Hg3'
_cell_length_a 4.6089
_cell_length_b 4.6089
_cell_length_c 14.8084
_cell_angle_alpha 90.00
_cell_angle_beta 90.00
_cell_angle_gamma 120.00
_symmetry_space_group_name_H-M 'R -3 m'
_symmetry_Int_Tables_number 166
_symmetry_space_group_name_Hall '-R 3 2"'
loop_
_atom_site_label
_atom_site_fract_x
_atom_site_fract_y
_atom_site_fract_z
Cd1 0.0000 0.0000 0.0000
Ga1 0.0000 0.0000 0.2495
Hg1 0.0000 0.0000 0.5000
```

Results
magnetic moment = 0.00 μB/cell
Fermi-level density of states = 0.304 states/eV/atom
formation enthalpy at 0 K = 91 meV/atom
excess energy over the best structure of this formula in the dataset = 0.168 eV/f.u.

* * * * *

(1)
## Cu3TeAu (PBE)

Data for a relaxed structure of Cu3TeAu.

a b c (Å): 4.853 4.853 4.853
angles (deg): 90.00 90.00 90.00
Space group Pm-3m (No. 221)
Unique sites:
Cu: 0.000 0.000 0.500 (multiplicity 3)
Te: 0.000 0.000 0.000 (multiplicity 1)
Au: 0.500 0.500 0.500 (multiplicity 1)

Computed properties:
- Electronic total energy: -0.113 hartree per atom
- D(E_F): 0.10 states/eV/cell

***

(2)
## Cu2TeAu (PBE)

Data for a relaxed structure of Cu2TeAu.

a b c (Å): 6.021 6.065 7.595
angles (deg): 90.00 90.00 90.00
Space group Fmmm (No. 69)
Unique sites:
Cu: 0.250 0.250 0.250 (multiplicity 8)
Te: 0.000 0.000 0.000 (multiplicity 4)
Au: 0.000 0.000 0.500 (multiplicity 4)

Computed properties:
- Electronic total energy: -0.128 hartree per atom
- D(E_F): 5.48 states/eV/cell

***

(3)
## Cu2TeAu (PBE)

Data for a relaxed structure of Cu2TeAu.

a b c (Å): 7.718 3.029 6.427
angles (deg): 90.00 100.48 90.00
Space group C2/m (No. 12)
Unique sites:
Cu: 0.246 0.000 0.223 (multiplicity 4)
Te: 0.000 0.000 0.500 (multiplicity 2)
Au: 0.000 0.500 0.000 (multiplicity 2)

Computed properties:
- Electronic total energy: -0.128 hartree per atom
- D(E_F): 2.94 states/eV/cell

***

(4)
## Cu3Te8Au3 (PBE)

Data for a relaxed structure of Cu3Te8Au3.

a b c (Å): 8.1820 8.1820 19.2344
angles (deg): 90.00 90.00 120.00
Space group R-3m (No. 166, hexagonal axes)
Unique sites:
Cu: 0.0000 0.0000 0.0000 (multiplicity 3)
Cu: 0.0000 0.0000 0.3818 (multiplicity 6)
Te: 0.0000 0.0000 0.2465 (multiplicity 6)
Te: 0.0192 0.5096 0.7471 (multiplicity 18)
Au: 0.0000 0.5000 0.5000 (multiplicity 9)

Computed properties:
- Electronic total energy: -0.123 hartree per atom
- D(E_F): 28.54 states/eV/cell

***

(5)
## CuTeAu (PBE)

Data for a relaxed structure of CuTeAu.

a b c (Å): 3.092 3.092 12.755
angles (deg): 90.00 90.00 90.00
Space group I4mm (No. 107)
Unique sites:
Cu: 0.000 0.000 0.000 (multiplicity 2)
Te: 0.000 0.000 0.344 (multiplicity 2)
Au: 0.000 0.000 0.623 (multiplicity 2)

Computed properties:
- Electronic total energy: -0.120 hartree per atom
- D(E_F): 1.63 states/eV/cell

***

(6)
## Cu2Te2Au (PBE)

Data for a relaxed structure of Cu2Te2Au.

a b c (Å): 5.197 5.197 7.962
angles (deg): 90.00 90.00 90.00
Space group I4/mmm (No. 139)
Unique sites:
Cu: 0.000 0.000 0.164 (multiplicity 4)
Te: 0.000 0.500 0.250 (multiplicity 4)
Au: 0.000 0.000 0.500 (multiplicity 2)

Computed properties:
- Electronic total energy: -0.120 hartree per atom
- D(E_F): 6.32 states/eV/cell

***

(7)
## CuTe4Au2 (PBE)

Data for a relaxed structure of CuTe4Au2.

a b c (Å): 13.056 4.314 7.507
angles (deg): 90.00 124.65 90.00
Space group C2/m (No. 12)
Unique sites:
Cu: 0.000 0.000 0.000 (multiplicity 2)
Te: 0.108 0.000 0.452 (multiplicity 4)
Te: 0.113 0.500 0.944 (multiplicity 4)
Au: 0.245 0.500 0.738 (multiplicity 4)

Computed properties:
- Electronic total energy: -0.122 hartree per atom
- D(E_F): 7.24 states/eV/cell

***

(8)
## CuTeAu (PBE)

Data for a relaxed structure of CuTeAu.

a b c (Å): 4.0312 4.0312 4.4279
angles (deg): 90.00 90.00 120.00
Space group P3m1 (No. 156)
Unique sites:
Cu: 0.0000 0.0000 0.0000 (multiplicity 1)
Te: 0.6667 0.3333 0.2920 (multiplicity 1)
-- stop --

• Outcome:
Compound: CdGa2Hg
Source: Alexandria via LeMat-Bulk
Functional: PBE
Structure: relaxed

Cell and atoms, written as CIF:
```
data_CdGa2Hg
_chemical_formula_sum 'Cd3 Ga6 Hg3'
_cell_length_a 4.6089
_cell_length_b 4.6089
_cell_length_c 14.8084
_cell_angle_alpha 90.00
_cell_angle_beta 90.00
_cell_angle_gamma 120.00
_symmetry_space_group_name_H-M 'R -3 m'
_symmetry_Int_Tables_number 166
_symmetry_space_group_name_Hall '-R 3 2"'
loop_
_atom_site_label
_atom_site_fract_x
_atom_site_fract_y
_atom_site_fract_z
Cd1 0.0000 0.0000 0.0000
Ga1 0.0000 0.0000 0.2495
Hg1 0.0000 0.0000 0.5000
```

Results
magnetic moment = 0.00 μB/cell
Fermi-level density of states = 0.304 states/eV/atom
formation enthalpy at 0 K = 91 meV/atom
excess energy over the best structure of this formula in the dataset = 0.168 eV/f.u.

* * * * *

(1)
## Cu3TeAu (PBE)

Data for a relaxed structure of Cu3TeAu.

a b c (Å): 4.853 4.853 4.853
angles (deg): 90.00 90.00 90.00
Space group Pm-3m (No. 221)
Unique sites:
Cu: 0.000 0.000 0.500 (multiplicity 3)
Te: 0.000 0.000 0.000 (multiplicity 1)
Au: 0.500 0.500 0.500 (multiplicity 1)

Computed properties:
- Electronic total energy: -0.113 hartree per atom
- D(E_F): 0.10 states/eV/cell

***

(2)
## Cu2TeAu (PBE)

Data for a relaxed structure of Cu2TeAu.

a b c (Å): 6.021 6.065 7.595
angles (deg): 90.00 90.00 90.00
Space group Fmmm (No. 69)
Unique sites:
Cu: 0.250 0.250 0.250 (multiplicity 8)
Te: 0.000 0.000 0.000 (multiplicity 4)
Au: 0.000 0.000 0.500 (multiplicity 4)

Computed properties:
- Electronic total energy: -0.128 hartree per atom
- D(E_F): 5.48 states/eV/cell

***

(3)
## Cu2TeAu (PBE)

Data for a relaxed structure of Cu2TeAu.

a b c (Å): 7.718 3.029 6.427
angles (deg): 90.00 100.48 90.00
Space group C2/m (No. 12)
Unique sites:
Cu: 0.246 0.000 0.223 (multiplicity 4)
Te: 0.000 0.000 0.500 (multiplicity 2)
Au: 0.000 0.500 0.000 (multiplicity 2)

Computed properties:
- Electronic total energy: -0.128 hartree per atom
- D(E_F): 2.94 states/eV/cell

***

(4)
## Cu3Te8Au3 (PBE)

Data for a relaxed structure of Cu3Te8Au3.

a b c (Å): 8.1820 8.1820 19.2344
angles (deg): 90.00 90.00 120.00
Space group R-3m (No. 166, hexagonal axes)
Unique sites:
Cu: 0.0000 0.0000 0.0000 (multiplicity 3)
Cu: 0.0000 0.0000 0.3818 (multiplicity 6)
Te: 0.0000 0.0000 0.2465 (multiplicity 6)
Te: 0.0192 0.5096 0.7471 (multiplicity 18)
Au: 0.0000 0.5000 0.5000 (multiplicity 9)

Computed properties:
- Electronic total energy: -0.123 hartree per atom
- D(E_F): 28.54 states/eV/cell

***

(5)
## CuTeAu (PBE)

Data for a relaxed structure of CuTeAu.

a b c (Å): 3.092 3.092 12.755
angles (deg): 90.00 90.00 90.00
Space group I4mm (No. 107)
Unique sites:
Cu: 0.000 0.000 0.000 (multiplicity 2)
Te: 0.000 0.000 0.344 (multiplicity 2)
Au: 0.000 0.000 0.623 (multiplicity 2)

Computed properties:
- Electronic total energy: -0.120 hartree per atom
- D(E_F): 1.63 states/eV/cell

***

(6)
## Cu2Te2Au (PBE)

Data for a relaxed structure of Cu2Te2Au.

a b c (Å): 5.197 5.197 7.962
angles (deg): 90.00 90.00 90.00
Space group I4/mmm (No. 139)
Unique sites:
Cu: 0.000 0.000 0.164 (multiplicity 4)
Te: 0.000 0.500 0.250 (multiplicity 4)
Au: 0.000 0.000 0.500 (multiplicity 2)

Computed properties:
- Electronic total energy: -0.120 hartree per atom
- D(E_F): 6.32 states/eV/cell

***

(7)
## CuTe4Au2 (PBE)

Data for a relaxed structure of CuTe4Au2.

a b c (Å): 13.056 4.314 7.507
angles (deg): 90.00 124.65 90.00
Space group C2/m (No. 12)
Unique sites:
Cu: 0.000 0.000 0.000 (multiplicity 2)
Te: 0.108 0.000 0.452 (multiplicity 4)
Te: 0.113 0.500 0.944 (multiplicity 4)
Au: 0.245 0.500 0.738 (multiplicity 4)

Computed properties:
- Electronic total energy: -0.122 hartree per atom
- D(E_F): 7.24 states/eV/cell

***

(8)
## CuTeAu (PBE)

Data for a relaxed structure of CuTeAu.

a b c (Å): 4.0312 4.0312 4.4279
angles (deg): 90.00 90.00 120.00
Space group P3m1 (No. 156)
Unique sites:
Cu: 0.0000 0.0000 0.0000 (multiplicity 1)
Te: 0.6667 0.3333 0.2920 (multiplicity 1)